## Brief
Next, set down the data further down unchanged.

## Material
____________
CrGe3Au | Alexandria | PBE-GGA | optimized geometry; energy = -5.0207 eV per atom; excess energy over the best structure of this formula in the dataset = 0.0000 eV/atom; energy relative to the elements = 0.330 eV per atom; symmetry = Pm-3m, No. 221
1.0
4.665 0.000 0.000
0.000 4.665 0.000
0.000 0.000 4.665
Cr Ge Au
1 3 1
direct
0.000 0.000 0.000
0.000 0.000 0.500
0.000 0.500 0.000
0.500 0.000 0.000
0.500 0.500 0.500

CdHg4Cl | Alexandria | PBE-GGA | optimized geometry; energy = -0.6684 eV per atom; formation energy without anion corrections = -0.007 eV per atom; symmetry = F-43m, No. 216
1.0
0.000 4.345 4.345
4.345 0.000 4.345
4.345 4.345 0.000
Cd Hg Cl
1 4 1
direct
0.000 0.000 0.000
0.375 0.375 0.375
0.375 0.375 0.875
0.375 0.875 0.375
0.875 0.375 0.375
0.750 0.750 0.750

Ho4GeSbSe2 | Alexandria | PBE-GGA | optimized geometry; energy = -5.6644 eV per atom; formation energy without anion corrections = -1.412 eV per atom; symmetry = P2/m, No. 10
1.0
7.193 0.000 0.000
0.000 4.174 0.000
-2.423 0.000 6.850
Ho Ge Sb Se
4 1 1 2
direct
0.242 0.000 0.236
0.249 0.500 0.763
0.751 0.500 0.237
0.758 0.000 0.764
0.000 0.500 0.000
0.000 0.000 0.500
0.500 0.000 0.000
0.500 0.500 0.500

LuPuCdSi | Alexandria | PBE-GGA | optimized geometry; energy = -6.5114 eV per atom; formation energy without anion corrections = -0.214 eV per atom; symmetry = F-43m, No. 216
1.0
0.000 3.590 3.590
3.590 0.000 3.590
3.590 3.590 0.000
Lu Pu Cd Si
1 1 1 1
direct
0.000 0.000 0.000
0.500 0.500 0.500
0.750 0.750 0.750
0.250 0.250 0.250

Li2CuP2O7 | Alexandria | PBE-GGA | optimized geometry; energy = -6.4341 eV per atom; excess energy over the best structure of this formula in the dataset = 0.0583 eV/atom; formation energy without anion corrections = -1.980 eV per atom; symmetry = P-1, No. 2
1.0
5.652 0.000 0.000
-1.507 5.989 0.000
-0.620 -3.087 8.216
Li Cu P O
4 2 4 14
direct
0.148 0.257 0.454
0.280 0.707 0.268
0.720 0.293 0.732
0.852 0.743 0.546
0.117 0.111 0.881
0.883 0.889 0.119
0.242 0.647 0.907
0.375 0.800 0.624
0.625 0.200 0.376
0.758 0.353 0.093
0.059 0.808 0.924
0.080 0.386 0.830
0.186 0.949 0.664
0.267 0.591 0.465
0.362 0.059 0.370
0.400 0.694 0.771
0.418 0.710 0.061
0.582 0.290 0.939
0.600 0.306 0.229
0.638 0.941 0.630
0.733 0.409 0.535
0.814 0.051 0.336
0.920 0.614 0.170
0.941 0.192 0.076

Tb2NpAs3 | Alexandria | PBE-GGA | optimized geometry; energy = -7.2734 eV per atom; energy relative to the elements = -1.248 eV per atom; symmetry = I4/mmm, No. 139
1.0
-2.064 2.064 8.734
2.064 -2.064 8.734
2.064 2.064 -8.734
Tb Np As
2 1 3
direct
0.168 0.168 0.000
0.832 0.832 0.000
0.500 0.500 0.000
0.000 0.000 0.000
0.335 0.335 0.000
0.665 0.665 0.000

~~~~~

This record from Alexandria via LeMat-Bulk describes a relaxed MnCdW2 crystal. The functional is PBE.

Cell lengths 2.719, 4.397, 5.585 Å; angles 90.00, 101.46, 90.00 degrees
Space group Pm (No. 6)
Unique sites:
Mn: 0.000 0.000 0.000
Cd: 0.217 0.500 0.742
W: 0.555 0.000 0.462
W: 0.768 0.500 0.231

Computed properties:
Total moment, μB/atom: 0.6735
E_form, kJ/mol of formula units: 179
DOS(E_F), states/eV/cell: 2.89
Crystal system: monoclinic

~~~~~

The following is a PBE+U calculation of a relaxed structure of V3Ag2O8, from the Alexandria database.

POSCAR file:
```
V3Ag2O8
1.0
5.956 -3.012 0.000
5.956 3.012 0.000
-1.600 0.000 4.710
V Ag O
3 2 8
Direct
0.000 0.000 0.000
0.278 0.722 0.500
0.742 0.258 0.500
0.286 0.290 0.814
0.710 0.714 0.186
0.091 0.095 0.750
0.127 0.696 0.746
0.304 0.873 0.254
0.385 0.419 0.301
0.581 0.615 0.699
0.685 0.141 0.749
0.859 0.315 0.251
0.905 0.909 0.250
```

uncorrected energy = -6.626 eV/atom
M_tot = 0.971 Bohr magnetons per cell

~~~~~

# 1
! Zr2ZnSn2 | the Open Quantum Materials Database | PBE | optimized geometry; values from VASP
! SG = I4/mmm
! mass density = 6.86 g cm⁻³
! crystal system = tetragonal
! final energy = -25.8 eV per cell
&SYSTEM
  ibrav = 0, nat = 5, ntyp = 3
/
ATOMIC_SPECIES
Zn 65.41 Zn.upf
Zr 91.22 Zr.upf
Sn 118.71 Sn.upf
CELL_PARAMETERS angstrom
____________

## Done
CrGe3Au | Alexandria | PBE-GGA | optimized geometry; energy = -5.0207 eV per atom; excess energy over the best structure of this formula in the dataset = 0.0000 eV/atom; energy relative to the elements = 0.330 eV per atom; symmetry = Pm-3m, No. 221
1.0
4.665 0.000 0.000
0.000 4.665 0.000
0.000 0.000 4.665
Cr Ge Au
1 3 1
direct
0.000 0.000 0.000
0.000 0.000 0.500
0.000 0.500 0.000
0.500 0.000 0.000
0.500 0.500 0.500

CdHg4Cl | Alexandria | PBE-GGA | optimized geometry; energy = -0.6684 eV per atom; formation energy without anion corrections = -0.007 eV per atom; symmetry = F-43m, No. 216
1.0
0.000 4.345 4.345
4.345 0.000 4.345
4.345 4.345 0.000
Cd Hg Cl
1 4 1
direct
0.000 0.000 0.000
0.375 0.375 0.375
0.375 0.375 0.875
0.375 0.875 0.375
0.875 0.375 0.375
0.750 0.750 0.750

Ho4GeSbSe2 | Alexandria | PBE-GGA | optimized geometry; energy = -5.6644 eV per atom; formation energy without anion corrections = -1.412 eV per atom; symmetry = P2/m, No. 10
1.0
7.193 0.000 0.000
0.000 4.174 0.000
-2.423 0.000 6.850
Ho Ge Sb Se
4 1 1 2
direct
0.242 0.000 0.236
0.249 0.500 0.763
0.751 0.500 0.237
0.758 0.000 0.764
0.000 0.500 0.000
0.000 0.000 0.500
0.500 0.000 0.000
0.500 0.500 0.500

LuPuCdSi | Alexandria | PBE-GGA | optimized geometry; energy = -6.5114 eV per atom; formation energy without anion corrections = -0.214 eV per atom; symmetry = F-43m, No. 216
1.0
0.000 3.590 3.590
3.590 0.000 3.590
3.590 3.590 0.000
Lu Pu Cd Si
1 1 1 1
direct
0.000 0.000 0.000
0.500 0.500 0.500
0.750 0.750 0.750
0.250 0.250 0.250

Li2CuP2O7 | Alexandria | PBE-GGA | optimized geometry; energy = -6.4341 eV per atom; excess energy over the best structure of this formula in the dataset = 0.0583 eV/atom; formation energy without anion corrections = -1.980 eV per atom; symmetry = P-1, No. 2
1.0
5.652 0.000 0.000
-1.507 5.989 0.000
-0.620 -3.087 8.216
Li Cu P O
4 2 4 14
direct
0.148 0.257 0.454
0.280 0.707 0.268
0.720 0.293 0.732
0.852 0.743 0.546
0.117 0.111 0.881
0.883 0.889 0.119
0.242 0.647 0.907
0.375 0.800 0.624
0.625 0.200 0.376
0.758 0.353 0.093
0.059 0.808 0.924
0.080 0.386 0.830
0.186 0.949 0.664
0.267 0.591 0.465
0.362 0.059 0.370
0.400 0.694 0.771
0.418 0.710 0.061
0.582 0.290 0.939
0.600 0.306 0.229
0.638 0.941 0.630
0.733 0.409 0.535
0.814 0.051 0.336
0.920 0.614 0.170
0.941 0.192 0.076

Tb2NpAs3 | Alexandria | PBE-GGA | optimized geometry; energy = -7.2734 eV per atom; energy relative to the elements = -1.248 eV per atom; symmetry = I4/mmm, No. 139
1.0
-2.064 2.064 8.734
2.064 -2.064 8.734
2.064 2.064 -8.734
Tb Np As
2 1 3
direct
0.168 0.168 0.000
0.832 0.832 0.000
0.500 0.500 0.000
0.000 0.000 0.000
0.335 0.335 0.000
0.665 0.665 0.000

~~~~~

This record from Alexandria via LeMat-Bulk describes a relaxed MnCdW2 crystal. The functional is PBE.

Cell lengths 2.719, 4.397, 5.585 Å; angles 90.00, 101.46, 90.00 degrees
Space group Pm (No. 6)
Unique sites:
Mn: 0.000 0.000 0.000
Cd: 0.217 0.500 0.742
W: 0.555 0.000 0.462
W: 0.768 0.500 0.231

Computed properties:
Total moment, μB/atom: 0.6735
E_form, kJ/mol of formula units: 179
DOS(E_F), states/eV/cell: 2.89
Crystal system: monoclinic

~~~~~

The following is a PBE+U calculation of a relaxed structure of V3Ag2O8, from the Alexandria database.

POSCAR file:
```
V3Ag2O8
1.0
5.956 -3.012 0.000
5.956 3.012 0.000
-1.600 0.000 4.710
V Ag O
3 2 8
Direct
0.000 0.000 0.000
0.278 0.722 0.500
0.742 0.258 0.500
0.286 0.290 0.814
0.710 0.714 0.186
0.091 0.095 0.750
0.127 0.696 0.746
0.304 0.873 0.254
0.385 0.419 0.301
0.581 0.615 0.699
0.685 0.141 0.749
0.859 0.315 0.251
0.905 0.909 0.250
```

uncorrected energy = -6.626 eV/atom
M_tot = 0.971 Bohr magnetons per cell

~~~~~

# 1
! Zr2ZnSn2 | the Open Quantum Materials Database | PBE | optimized geometry; values from VASP
! SG = I4/mmm
! mass density = 6.86 g cm⁻³
! crystal system = tetragonal
! final energy = -25.8 eV per cell
&SYSTEM
  ibrav = 0, nat = 5, ntyp = 3
/
ATOMIC_SPECIES
Zn 65.41 Zn.upf
Zr 91.22 Zr.upf
Sn 118.71 Sn.upf
CELL_PARAMETERS angstrom